Reptiles are found in a variety of habitats including heathland, woodland, grassland, wasteland, roadside verges, brownfield sites and gardens.
The need for reptile surveys is usually identified during the Preliminary Ecological Appraisal (PEA), where suitable reptile habitat is present.
Refugia surveys involve setting out a predetermined number of felt mats measuring at least 0.5m x 0.5m within suitable reptile habitat on site. The reptile mats are then left to 'settle' for a period and surveys are conducted by an ecologist during suitable weather conditions (10-18°c) between March to October. Usually, seven survey visits are required and spaced apart as appropriate to ensure the survey results are representative.
All surveys are conducted in accordance with the 'Froglife Advice Sheet 10' (Froglife, 1999) and NARRs Survey protocols for the British herpetofauna (NARRs, 2013).
Should a larger number of reptiles be recorded during the refugia surveys, a reptile translocation must be undertaken if they are reasonably likely to be affected by the proposed development. Reptile fencing may be erected around the development zone and reptiles will then be carefully captured and placed in suitable receptor site outside of the development boundary. The following points should be noted in relation to translocations:
# Here the page breaks off for crystal structures
A relaxed structure of KNdO2, computed with PBE-GGA.

Output
Its crystal system is trigonal. Its space group is R-3m. The calculation puts the total energy at -6.556 eV/atom. The calculation puts the formation energy at -11.82 eV/f.u.

a = 3.6478 Å, b = 3.6478 Å, c = 18.8740 Å
α = 90.00°, β = 90.00°, γ = 120.00°
Last column: nearest neighbours and their distance in Å.
Atoms (fractional coordinates):
1 K 0.0000 0.0000 0.0000  6 O 2.87
2 K 0.3333 0.6667 0.6667  6 O 2.87
3 K 0.6667 0.3333 0.3333  6 O 2.87
4 Nd 0.0000 0.0000 0.5000  6 O 2.42
5 Nd 0.3333 0.6667 0.1667  6 O 2.42
6 Nd 0.6667 0.3333 0.8333  6 O 2.42
7 O 0.0000 0.0000 0.2303  3 Nd 2.42
8 O 0.0000 0.0000 0.7697  3 Nd 2.42
9 O 0.3333 0.6667 0.4364  3 Nd 2.42
10 O 0.3333 0.6667 0.8969  3 Nd 2.42
11 O 0.6667 0.3333 0.1031  3 Nd 2.42
12 O 0.6667 0.3333 0.5636  3 Nd 2.42

=====

KScW2O8: optimized geometry, PBE with a Hubbard U.

## Properties
Energy relative to the elements = -2.62 eV per atom
Electronic total energy = -7.506 eV/atom
Total magnetic moment = 0.000 μB per atom
Space group = C2/c (15)
E (MP2020) = -8.7033 eV per atom

Cell and atoms, written as extended XYZ:
```
24
Lattice="5.119 5.512 0.000 -5.119 5.512 0.000 0.000 4.832 5.561" Properties=species:S:1:pos:R:3 pbc="T T T"
O -0.695 7.972 5.216
O 1.130 10.453 1.157
O 0.695 7.883 0.346
O -1.188 7.589 2.494
O -1.188 5.850 0.286
O 1.495 11.905 3.359
O -1.495 3.950 2.202
O 1.188 10.005 5.275
O 1.130 2.986 1.623
O 1.495 6.366 4.983
O -0.695 10.299 3.126
O -1.130 12.870 3.938
O 1.188 8.266 3.067
O -1.495 9.489 0.578
O -1.130 5.402 4.404
O 0.695 5.556 2.435
W -0.049 4.305 1.123
W 0.049 11.551 4.438
W -0.049 9.135 1.657
W 0.049 6.721 3.904
K -2.991 9.136 4.171
K 2.991 6.720 1.390
Sc -2.856 6.720 1.390
Sc 2.856 9.136 4.171
```


LiCoPO4: optimized geometry, PBE with a Hubbard U.

## Properties
Energy relative to the elements = -2.31 eV per atom
Electronic total energy = -6.574 eV/atom
Total magnetic moment = 0.429 μB per atom
Space group = P2_1/c (14)
Excess energy over the best structure of this formula in the dataset = 96.6 meV/atom
E (MP2020) = -7.2003 eV per atom

Cell and atoms, written as extended XYZ:
```
84
Lattice="-6.295 1.959 3.652 2.784 -3.967 6.927 9.313 8.805 11.330" Properties=species:S:1:pos:R:3 pbc="T T T"
Li 0.631 3.331 10.691
Li -1.393 -1.138 9.707
Li 5.172 3.466 11.218
Li 7.196 7.934 12.202
Li 2.674 3.490 6.459
Li 7.770 4.045 15.408
Li -1.968 2.752 6.501
Li 3.353 -0.432 9.604
Li 3.128 3.307 15.450
Li 2.450 7.229 12.304
Li 5.065 7.803 16.484
Li 0.737 -1.006 5.424
O -0.911 3.192 8.125
O 9.173 5.337 15.132
O -0.455 4.759 10.072
O 4.278 5.989 16.217
O 4.664 3.222 9.342
O 6.606 6.218 20.710
O 7.534 6.514 13.548
O 2.754 1.565 14.578
O 6.943 4.986 9.315
O 3.048 5.232 7.330
O 3.136 1.363 10.268
O 5.086 5.025 18.412
O 6.489 7.761 17.829
O -4.166 -0.267 8.483
O -1.223 -0.498 11.520
O -0.804 0.579 1.199
O 6.714 3.605 13.784
O 0.521 -1.842 9.508
O 8.199 1.620 13.420
O 9.968 7.064 13.426
O 3.013 2.069 7.805
O 1.525 0.808 5.692
# So much for the crystal structures
A suitable receptor site must be created prior to the translocation. The receptor site should be of equal size or larger to the original reptile site, and include similar features for reptiles, such as hibernacula (log / rubble piles) and a varied vegetation structure.
Translocations may only be conducted during suitable weather conditions and during the appropriate season.
Translocation of reptiles on site will continue until a number of consecutive surveys have been conducted as 'clear' visits (i.e. no reptiles recorded). Please note this process can take many months where larger reptile populations are present.
The vegetation around the fencing should be kept short and away from the fencing to prevent reptiles from gaining access back into the development site.
Following the translocation, a destructive search may be required of suitable reptile features, such as tree stumps, log / rubble piles and vegetation clearance. A licensed ecologist will supervise site contractors in carefully and methodically searching for reptiles and moving them safely to the receptor site.
Smooth snakes (Coronella austriaca) and sand lizards (Lacerta agilis) are afforded additional protective legislation due to their rarity and national decline. If your site features suitable habitat for these species, the best form of mitigation is to avoid these areas entirely to negate the need for a licence through Natural England. If avoidance is not possible and habitat supporting these reptiles is likely to be affected as part of the development, then this will need to be implemented under a licence. The licence will require a detailed method statement including a mitigation scheme and any compensation measures, including additional enhancements for reptiles on site; habitat creation or management and creation of additional suitable reptile habitat.